Friday, July 22, 2005

Molecular data that have nothing to do with the entry >
~~~
Computed, not measured: an isolated molecule of C8H14N2O4 in a non-equilibrium geometry, with ωB97M-V with the def2-TZVPD basis set.

Summary:
- Lowest unoccupied orbital energy: 0.58 eV
- Energy above the lowest of the compared OMol25 structures with the same formula, charge and spin: 70.8 kJ/mol
- Charge: 0
- Gap between HOMO and LUMO: 10.100 eV
- SMILES: O=C(O)[C@H](CO)NC(=O)[C@@H]1CCCN1

Atoms and positions in Å:
C1 -0.0209 -0.1422 -1.2708
C2 -0.0749 -1.1531 -0.1248
C3 0.3216 -0.8919 -2.5843
C4 1.8611 -0.8913 -2.5921
C5 2.3079 0.1246 -1.4680
C6 -0.7903 0.6738 1.4713
C7 -0.3940 0.9833 2.9377
C8 -2.2576 1.0479 1.3368
H1 0.8811 1.5719 -1.6856
H2 -0.9802 0.3974 -1.3828
H3 -0.0227 -0.2646 -3.4259
H4 -0.2860 -1.8169 -2.6429
H5 2.2840 -1.8820 -2.4105
H6 2.2245 -0.5343 -3.5556
H7 2.6719 -0.4956 -0.6355
H8 3.1274 0.8426 -1.7185
H9 -0.3172 -1.3675 1.8252
H10 -0.2521 1.3579 0.8187
H11 -2.3491 2.0848 1.6742
H12 -2.5852 1.0500 0.2815
H13 -2.9893 -0.7141 1.6468
H14 0.3263 0.0762 4.5127
N1 1.0547 0.8103 -1.0151
N2 -0.5360 -0.6954 1.0878
O1 0.3022 -2.2949 -0.1814
O2 -0.5179 2.0457 3.4550
O3 -3.0365 0.1710 2.0600
O4 0.0470 -0.0937 3.5863

Results of the Löwdin charge analysis, in e, for atoms 1 through 8: number 1, C, carries -0.28; number 2, C, carries -0.43; number 3, C, carries -0.14; number 4, C, carries -0.16; number 5, C, carries -0.16; number 6, C, carries -0.21; number 7, C, carries -0.48; number 8, C, carries -0.24

***

Computed, not measured: a cluster of 9 separate species, C36H55F12N5O8 in total in a non-equilibrium geometry, with ωB97M-V with the def2-TZVPD basis set.

Summary:
- Lowest unoccupied orbital energy: 0.17 eV
- Energy above the lowest of the compared OMol25 structures with the same formula, charge and spin: 139.4 kJ/mol
- Charge: 0
- Gap between HOMO and LUMO: 11.294 eV
- SMILES: CCOC(=O)C(F)(F)F.CCOC(=O)C(F)(F)F.CCOC(=O)C(F)(F)F.CCOC(=O)C(F)(F)F.CCCC#N.CCCC#N.CCCC#N.CCCC#N.CCCC#N

Atoms and positions in Å:
C1 -2.7529 3.0171 -2.7324
C2 -3.7549 1.9643 -2.2683
C3 -4.0172 0.7600 -3.2389
C4 -4.4578 1.2687 -4.5701
N1 -4.7503 1.6665 -5.6380
H1 -2.7098 3.8136 -1.9896
H2 -3.0991 3.4881 -3.6524
H3 -1.7923 2.5553 -2.9609
H4 -4.6498 2.5115 -1.9719
H5 -3.3537 1.5799 -1.3306
H6 -4.6690 0.0059 -2.7978
H7 -3.0905 0.2165 -3.4232
C5 -6.8681 -2.1767 1.9922
C6 -6.7010 -3.6824 1.7774
C7 -5.2652 -4.1685 2.1328
C8 -4.2478 -3.9086 1.0854
N2 -3.4311 -3.6481 0.2781
H8 -6.7208 -1.8475 3.0208
H9 -7.9212 -2.0191 1.7595
H10 -6.1958 -1.6140 1.3445
H11 -7.0121 -3.9115 0.7581
H12 -7.4936 -4.1710 2.3441
H13 -5.1825 -5.2422 2.3013
H14 -4.8689 -3.6025 2.9759
C9 6.4317 1.7148 -1.2231
C10 5.3205 1.5226 -2.2304
C11 3.9927 2.2860 -1.9202
C12 4.0433 3.7705 -2.1716
N3 4.0237 4.9448 -2.3419
H15 7.3257 1.1956 -1.5683
H16 6.1189 1.2860 -0.2711
H17 6.7844 2.7111 -0.9568
H18 5.0090 0.4781 -2.2465
H19 5.6797 1.7065 -3.2430
H20 3.8563 2.0842 -0.8577
H21 3.1227 1.9288 -2.4712
C13 4.6964 3.3150 2.6873
C14 3.4076 3.9585 3.2515
C15 2.0473 3.4102 2.7089
C16 1.8421 3.4532 1.2518
~~~
So much for the molecular data >
On the beach after a couple bottles of wine.

It was a good trip. Lots of laughs between Katrine lusting after 12 year olds "no hair! that's perfect!" to knowing offhand the score of the water volley game going on in our pool "Losch von slosch!" And don't forget our collective desire for "pearl necklaces"
Suzy sums it up:
to me, it always seems like you are away as well... off getting your jollies in another land while i'm stuck in podunk pullman, shootin' the shit with locals and foreigners alike, embellishing our differences but in the end realizing that we're all the same. we are all just mere humans. just mere insane humans trying to acheive our far out dreams while suffering through the hardships and, now and then, gobbling up a morsel of sweet-sweet happiness when it falls from the plate of those above us -- and ooh, it tastes so good, like watermelon. and we'll do this daily, all the while complaining about our bosses, co-workers, and roommates, every day, each just like the next, right up until the cows come home...
Whether we are in Germany, Coupeville, Pullman, Tucson, I think we are all just passing days. We all complain about bosses and co workers and are workin towards a dream. Sometimes if we are lucky we are livin a dream, and we dont even know it. I envy Susie boys relatively stress free days, predictable schedule, stable job and the opportunity to meet a variety of people. My schedule, where I live and what I do vary every single day-there is no stability, no security and I cant plan very far into the future. But we all live to fight another day and we learn to deal with what we have got.
to me, it always seems like you are away as well... off getting your jollies in another land while i'm stuck in podunk pullman, shootin' the shit with locals and foreigners alike, embellishing our differences but in the end realizing that we're all the same. we are all just mere humans. just mere insane humans trying to acheive our far out dreams while suffering through the hardships and, now and then, gobbling up a morsel of sweet-sweet happiness when it falls from the plate of those above us -- and ooh, it tastes so good, like watermelon. and we'll do this daily, all the while complaining about our bosses, co-workers, and roommates, every day, each just like the next, right up until the cows come home...
Whether we are in Germany, Coupeville, Pullman, Tucson, I think we are all just passing days. We all complain about bosses and co workers and are workin towards a dream. Sometimes if we are lucky we are livin a dream, and we dont even know it. I envy Susie boys relatively stress free days, predictable schedule, stable job and the opportunity to meet a variety of people. My schedule, where I live and what I do vary every single day-there is no stability, no security and I cant plan very far into the future. But we all live to fight another day and we learn to deal with what we have got.